-- Input --
=====
(1)
A plane-wave DFT calculation with PBE was carried out for an optimized crystal structure of BiO2.

Properties
Relative energy among the computed polymorphs (meV per atom): 175
Space-group type: No. 2
Energy relative to the elements (meV/atom): -1284
E (MP2020) (eV/atom): -5.88

a = 6.192 Å, b = 6.964 Å, c = 12.501 Å
α = 89.88°, β = 90.19°, γ = 89.99°
Atoms (fractional coordinates):
Bi (0.508, 0.750, 0.475)
Bi (0.507, 0.750, 0.020)
Bi (0.492, 0.250, 0.525)
Bi (0.493, 0.250, 0.980)
Bi (0.000, 0.500, 0.500)
Bi (0.000, 0.000, 0.000)
Bi (0.000, 0.000, 0.500)
Bi (0.000, 0.500, 0.000)
O (0.878, 0.750, 0.406)
O (0.873, 0.750, 0.092)
O (0.122, 0.250, 0.594)
O (0.126, 0.250, 0.908)
O (0.170, 0.750, 0.576)
O (0.165, 0.750, 0.922)
O (0.830, 0.250, 0.424)
O (0.835, 0.250, 0.077)
O (0.697, 0.527, 0.577)
O (0.697, 0.978, 0.921)
O (0.304, 0.028, 0.423)
O (0.303, 0.477, 0.079)
O (0.304, 0.473, 0.423)
O (0.303, 0.022, 0.079)
O (0.697, 0.972, 0.577)
O (0.697, 0.523, 0.921)

(2)
A plane-wave DFT calculation with PBE was carried out for an optimized crystal structure of Bi2O3.

Properties
Space-group type: No. 56
Energy relative to the elements (meV/atom): -1618
E (MP2020) (eV/atom): -6.14

a = 5.254 Å, b = 5.725 Å, c = 12.812 Å
α = 90.00°, β = 90.00°, γ = 90.00°
Atoms (fractional coordinates):
Bi (0.951, 0.320, 0.625)
Bi (0.549, 0.820, 0.625)
Bi (0.451, 0.680, 0.125)
Bi (0.451, 0.180, 0.375)
Bi (0.951, 0.820, 0.875)
Bi (0.549, 0.320, 0.875)
Bi (0.049, 0.180, 0.125)
Bi (0.049, 0.680, 0.375)
O (0.381, 0.330, 0.057)
O (0.119, 0.830, 0.057)
O (0.250, 0.482, 0.250)
O (0.750, 0.518, 0.750)
O (0.750, 0.018, 0.750)
O (0.119, 0.330, 0.443)
O (0.381, 0.830, 0.443)
O (0.881, 0.170, 0.943)
O (0.619, 0.670, 0.943)
O (0.619, 0.170, 0.557)
O (0.881, 0.670, 0.557)
O (0.250, 0.982, 0.250)

(3)
A plane-wave DFT calculation with PBE was carried out for an optimized crystal structure of BiO2.

Properties
Relative energy among the computed polymorphs (meV per atom): 379
Space-group type: No. 72
Energy relative to the elements (meV/atom): -1081
E (MP2020) (eV/atom): -5.68

a = 7.577 Å, b = 7.577 Å, c = 7.577 Å
α = 146.23°, β = 129.24°, γ = 62.37°
Atoms (fractional coordinates):
Bi (0.661, 0.376, 0.285)
Bi (0.908, 0.124, 0.785)
Bi (0.092, 0.876, 0.215)
Bi (0.339, 0.624, 0.715)
O (0.651, 0.224, 0.427)
O (0.948, 0.577, 0.371)
O (0.206, 0.077, 0.129)
O (0.203, 0.276, 0.927)
O (0.349, 0.776, 0.573)
O (0.052, 0.423, 0.629)
O (0.794, 0.923, 0.871)
O (0.797, 0.724, 0.073)

* * * * *

Record 1
The following is a PBE calculation of an optimized crystal structure of KNdS2O8, from the Materials Project database.

a = 8.7744 Å, b = 7.2794 Å, c = 10.7950 Å
α = 90.00°, β = 92.64°, γ = 90.00°
Closest atoms and distances in Å follow each position.
Space group P2_1/c (No. 14)
Symmetry-distinct sites (fractional):
K1 0.0607 0.1511 0.3455  8 O 2.80-3.13
Nd1 0.4433 0.6690 0.6504  9 O 2.45-2.64
S1 0.2270 0.6575 0.4087  4 O 1.45-1.52
S2 0.3183 0.1664 0.6092  4 O 1.45-1.52
O1 0.1061 0.5326 0.3671  1 S 1.45
O2 0.1538 0.1427 0.6062  1 S 1.45
O3 0.1993 0.7476 0.5304  1 S 1.50
O4 0.2545 0.6987 0.8129  1 S 1.50
O5 0.3646 0.1680 0.1889  1 S 1.52
O6 0.3750 0.1804 0.4825  1 S 1.48
O7 0.3760 0.5553 0.4376  1 S 1.52
O8 0.4032 0.0111 0.6765  1 S 1.52

Output
Total magnetic moment: 0.00 Bohr magnetons per cell
Crystal system: monoclinic
Formation energy from the elements: -30.613 eV per formula unit
Energy with MP2020 corrections: -7.03 eV per atom

Record 2
The following is a PBE calculation of an optimized crystal structure of KNdYSbO6, from the Materials Project database.

a = 8.3698 Å, b = 8.3698 Å, c = 8.3698 Å
α = 90.00°, β = 90.00°, γ = 90.00°
Closest atoms and distances in Å follow each position.
Space group F-43m (No. 216)
Symmetry-distinct sites (fractional):
K1 0.0000 0.0000 0.0000  12 O 2.96
Nd1 0.0000 0.0000 0.5000  12 O 2.96
Y1 0.2500 0.2500 0.2500  6 O 2.20
Sb1 0.2500 0.2500 0.7500  6 O 1.98
O1 0.0129 0.2500 0.7500  1 Sb 1.98, 1 Y 2.20

Output
=====

-- Job --
The reader should start at the top of the entries above and give back each line, ending with the one that has "0.6062".

-- Outcome --
(1)
A plane-wave DFT calculation with PBE was carried out for an optimized crystal structure of BiO2.

Properties
Relative energy among the computed polymorphs (meV per atom): 175
Space-group type: No. 2
Energy relative to the elements (meV/atom): -1284
E (MP2020) (eV/atom): -5.88

a = 6.192 Å, b = 6.964 Å, c = 12.501 Å
α = 89.88°, β = 90.19°, γ = 89.99°
Atoms (fractional coordinates):
Bi (0.508, 0.750, 0.475)
Bi (0.507, 0.750, 0.020)
Bi (0.492, 0.250, 0.525)
Bi (0.493, 0.250, 0.980)
Bi (0.000, 0.500, 0.500)
Bi (0.000, 0.000, 0.000)
Bi (0.000, 0.000, 0.500)
Bi (0.000, 0.500, 0.000)
O (0.878, 0.750, 0.406)
O (0.873, 0.750, 0.092)
O (0.122, 0.250, 0.594)
O (0.126, 0.250, 0.908)
O (0.170, 0.750, 0.576)
O (0.165, 0.750, 0.922)
O (0.830, 0.250, 0.424)
O (0.835, 0.250, 0.077)
O (0.697, 0.527, 0.577)
O (0.697, 0.978, 0.921)
O (0.304, 0.028, 0.423)
O (0.303, 0.477, 0.079)
O (0.304, 0.473, 0.423)
O (0.303, 0.022, 0.079)
O (0.697, 0.972, 0.577)
O (0.697, 0.523, 0.921)

(2)
A plane-wave DFT calculation with PBE was carried out for an optimized crystal structure of Bi2O3.

Properties
Space-group type: No. 56
Energy relative to the elements (meV/atom): -1618
E (MP2020) (eV/atom): -6.14

a = 5.254 Å, b = 5.725 Å, c = 12.812 Å
α = 90.00°, β = 90.00°, γ = 90.00°
Atoms (fractional coordinates):
Bi (0.951, 0.320, 0.625)
Bi (0.549, 0.820, 0.625)
Bi (0.451, 0.680, 0.125)
Bi (0.451, 0.180, 0.375)
Bi (0.951, 0.820, 0.875)
Bi (0.549, 0.320, 0.875)
Bi (0.049, 0.180, 0.125)
Bi (0.049, 0.680, 0.375)
O (0.381, 0.330, 0.057)
O (0.119, 0.830, 0.057)
O (0.250, 0.482, 0.250)
O (0.750, 0.518, 0.750)
O (0.750, 0.018, 0.750)
O (0.119, 0.330, 0.443)
O (0.381, 0.830, 0.443)
O (0.881, 0.170, 0.943)
O (0.619, 0.670, 0.943)
O (0.619, 0.170, 0.557)
O (0.881, 0.670, 0.557)
O (0.250, 0.982, 0.250)

(3)
A plane-wave DFT calculation with PBE was carried out for an optimized crystal structure of BiO2.

Properties
Relative energy among the computed polymorphs (meV per atom): 379
Space-group type: No. 72
Energy relative to the elements (meV/atom): -1081
E (MP2020) (eV/atom): -5.68

a = 7.577 Å, b = 7.577 Å, c = 7.577 Å
α = 146.23°, β = 129.24°, γ = 62.37°
Atoms (fractional coordinates):
Bi (0.661, 0.376, 0.285)
Bi (0.908, 0.124, 0.785)
Bi (0.092, 0.876, 0.215)
Bi (0.339, 0.624, 0.715)
O (0.651, 0.224, 0.427)
O (0.948, 0.577, 0.371)
O (0.206, 0.077, 0.129)
O (0.203, 0.276, 0.927)
O (0.349, 0.776, 0.573)
O (0.052, 0.423, 0.629)
O (0.794, 0.923, 0.871)
O (0.797, 0.724, 0.073)

* * * * *

Record 1
The following is a PBE calculation of an optimized crystal structure of KNdS2O8, from the Materials Project database.

a = 8.7744 Å, b = 7.2794 Å, c = 10.7950 Å
α = 90.00°, β = 92.64°, γ = 90.00°
Closest atoms and distances in Å follow each position.
Space group P2_1/c (No. 14)
Symmetry-distinct sites (fractional):
K1 0.0607 0.1511 0.3455  8 O 2.80-3.13
Nd1 0.4433 0.6690 0.6504  9 O 2.45-2.64
S1 0.2270 0.6575 0.4087  4 O 1.45-1.52
S2 0.3183 0.1664 0.6092  4 O 1.45-1.52
O1 0.1061 0.5326 0.3671  1 S 1.45
O2 0.1538 0.1427 0.6062  1 S 1.45